┌──
1.
Molecular formula: C14H15Br42F2S2
Method: DFT, wB97M-V/def2-TZVPD

## Properties
Energy above the lowest of the compared OMol25 structures with the same formula, charge and spin in kJ/mol: 247.5
Highest occupied orbital energy in eV: -11.21
Multiplicity: 1
Charge: +1
DFT total energy in eV: -2983635.5981

Atoms and positions in Å:
Br1 -2.5238 -6.1914 -4.2287
Br2 7.0920 -0.2267 0.3386
Br3 1.3964 0.5012 0.7049
Br4 2.7617 3.3887 3.6114
Br5 -1.0347 -7.9203 -1.9532
Br6 3.9049 -0.5928 3.6859
Br7 -0.0488 3.4950 5.1844
Br8 2.3160 1.5765 6.2385
Br9 -8.4647 -3.6997 -4.7357
Br10 3.0071 3.1878 -7.0130
Br11 -2.8543 5.7178 -4.2855
Br12 -5.4289 -4.4553 -5.5083
Br13 9.8957 -1.4349 1.3702
Br14 -6.9805 -2.1498 -7.1397
Br15 3.6243 7.8926 -0.6234
Br16 -2.9408 -2.8251 -7.1606
Br17 2.1347 0.1092 -7.3945
Br18 4.6313 -5.4233 3.2011
Br19 4.4811 -6.7012 0.2467
Br20 -2.2818 1.4525 9.1033
Br21 0.6886 0.3509 9.6927
Br22 0.5382 8.6420 -0.0770
Br23 2.2849 1.3871 -4.4401
Br24 -3.8427 5.7881 3.9370
Br25 -0.8859 -0.5977 7.0459
Br26 -1.9812 -6.0074 1.7395
Br27 -1.2051 -5.4344 4.8142
Br28 0.0639 -3.1871 -6.0540
Br29 -1.3695 -0.3045 -5.9107
Br30 -1.2838 -1.1428 -0.0010
Br31 5.4565 -2.8983 5.3174
Br32 0.6991 -4.3635 2.4454
Br33 5.3535 -3.6226 0.6282
Br34 -4.6187 5.2151 0.8623
Br35 -1.3527 -4.7326 -1.6048
Br36 -1.9385 6.8591 1.5682
Br37 -1.7114 2.8740 -5.2807
Br38 2.4207 -2.1427 6.0900
Br39 0.2905 5.0647 -4.0248
Br40 7.3773 -1.2705 3.3740
Br41 -0.5078 -0.5698 3.0737
Br42 1.6094 5.6680 0.5494
S1 -4.3885 2.5052 -0.2636
S2 -3.3068 2.2529 -2.0797
F1 -5.4383 1.1233 -0.0853
F2 -3.2148 2.2611 1.0103
C1 -2.1332 -6.3599 -2.3305
C2 -0.4254 0.0821 1.2428
C3 -1.2107 -1.9783 -6.8894
C4 8.2853 -0.4585 1.8573
C5 -1.3372 4.7687 -5.0480
C6 -3.7603 6.4400 2.1061
C7 -7.1484 -3.8235 -6.1625
C8 3.7370 -2.2665 4.6631
C9 4.2783 -5.0898 1.3175
C10 -1.0458 -0.0360 8.9015
C11 1.9319 1.7206 -6.3237
C12 1.7917 7.2418 -0.5793
C13 -1.1227 -4.7825 2.9833
C14 1.4786 2.3980 4.6868
H1 1.0975 1.5844 4.0608
H2 3.2302 -4.7829 1.2381
H3 -3.3967 3.3961 -2.8907
H4 -1.4689 -0.8803 9.4558
H5 -4.3265 7.3767 2.0744
H6 1.5367 6.9351 -1.5991
H7 -0.9916 1.0188 1.2112
H8 -1.1678 5.1861 -6.0461
H9 -0.8160 -1.7327 -7.8808
H10 -3.0898 -6.5112 -1.8194
H11 -7.5154 -4.5725 -6.8720
H12 3.3700 -3.0155 3.9537
H13 -1.6890 -3.8458 2.9516
H14 0.8838 2.0275 -6.4031
H15 8.6007 0.5419 2.1716

---

2.
Molecular formula: C14H15BrO11Pd
Method: DFT, wB97M-V/def2-TZVPD

## Properties
Highest occupied orbital energy (spin up / spin down) in eV: 3.76 / 1.54
Multiplicity: 4
Charge: -3
DFT total energy in eV: -110796.5094

Atoms and positions in Å:
Pd1 -0.5847 0.0906 0.2152
Br1 -1.0855 2.3971 1.7040
O1 3.9923 1.8004 -0.4112
O2 -1.3855 0.9730 -1.9465
O3 1.9539 0.8525 0.1527
O4 2.1971 2.9621 0.0091
O5 -0.1814 -1.7706 -0.8733
O6 0.5088 -1.5880 6.6492
O7 -0.5967 -4.3437 6.1716
O8 -0.8100 -3.6649 1.7044
O9 0.3114 -0.9046 2.1804
O10 -3.0604 2.5422 -2.2653
O11 -3.4166 0.5624 -2.9832
C1 -0.3539 -3.5772 5.2470
C2 -2.4772 1.3329 -2.3896
C3 0.9700 -2.7113 -2.9056
C4 -0.0009 -1.7435 3.0883
C5 3.1592 3.8469 -0.5677
C6 4.4044 3.1481 -0.6654
C7 -0.5758 -3.0716 2.8793
C8 -4.4840 1.3060 -3.5996
C9 0.2386 -2.0696 5.4946
C10 0.9043 -1.8667 -1.7023
C11 0.3862 -1.2136 4.3424
C12 -0.6159 -3.9471 3.9005
C13 -4.4051 2.5747 -2.7463
C14 2.6936 1.7909 -0.0171
H1 1.6432 -2.2987 -1.0273
H2 -5.1391 2.3700 -1.9669
H3 -4.3362 1.2927 -4.6795
H4 -4.7653 3.4576 -3.2743
H5 1.0920 -0.8070 -1.8753
H6 -0.9137 -4.9700 3.7238
H7 0.0907 -2.6761 -3.5489
H8 1.7898 -2.4541 -3.5762
H9 1.1688 -3.7348 -2.5875
H10 4.9727 3.3342 -1.5767
H11 -5.4399 0.8359 -3.3684
H12 0.9966 -0.3306 4.4612
H13 5.0759 3.3482 0.1696
H14 2.9296 4.1751 -1.5815
H15 3.1483 4.7502 0.0423

---

3.
Molecular formula: C14H15CdF6N4O10S2
Method: DFT, wB97M-V/def2-TZVPD

## Properties
Energy above the lowest of the compared OMol25 structures with the same formula, charge and spin in kJ/mol: 75.5
Highest occupied orbital energy in eV: -6.51
Multiplicity: 1
Charge: -1
DFT total energy in eV: -83741.0637
└──

Now search the block earlier on for the word "Br32" and give back each line that has it.

Br32 0.6991 -4.3635 2.4454